Let me tell you something……

Jonathan Latko

MIS2101 Class Update May 22nd


  1. The syllabus schedule has been updated as of today.   The final will now be taken in class on June 27th.  That means I had to adjust some due dates of assignments and readings for the 2nd half of the course. Please take note!!!!! (no class after June 27th)
  2. Please make sure you have purchased the online materials and have taken the online quiz for Chapter 2  before class on Thursday (no extensions). At your leisure before we take the mid-term, complete the quiz  for Chapter 1 by June 6th.
  3. Project 1 has been posted. I suggest you start working on Project 1 ASAP, Due June 4th.
  4. Gabrielle (TA) will be available before class on Thursday in our classroom from 4:15-4:40 for anyone who has questions about accessing the book or questions about assignments.


Project 3 – Google Analytics


Project 3, part 3 Google Analytics report is due Tuesday June 25th 2013 by 4pm.
Please review what is required in the report a the end of this document, you need to provide some information and answer some questions to receive credit.
You can send me an email with your answers. Below are the majority of the
class Blogs to drive traffic to each site. Please check out your classmate’s blog .

June 11th MIS Class Update

Your gradebook data has been updated with the Mid-term and Project 1 grades, you must log int to see your grade.  The mid-term and the project 1 will not be returned so if you have questions you must contact me individually. http://community.mis.temple.edu/gradebook/


Project 2 Logins are not working correctly so please hold off on Project 2.

(Data records from another source follow)
+++
(1)
Density functional theory data (the ωB97M-V functional and the def2-TZVPD basis) for C26H28CoN4O6 as an isolated structure.

Summary:
HOMO energy (spin up / spin down), Ha: -0.4021 / -0.4010
ΔE to the lowest compared entry with this formula, charge and spin, kcal/mol: 2.2
Total energy, eV: -83280.977
Multiplicity: 5
Charge: +1

```
65
Properties=species:S:1:pos:R:3:forces:R:3:mulliken_spin:R:1
Co -0.133661 -0.170919 0.323556 0.5 -0.2 0.2 2.764
O 0.006856 -1.616266 -0.997543 -0.1 -0.2 -0.1 0.061
O 1.981924 -0.145201 0.424242 0.1 0.1 0.0 0.026
O 0.008170 1.613243 1.499256 -0.2 0.0 0.1 0.026
O 0.135690 -0.670275 4.203115 0.0 0.2 0.1 0.013
O 0.287370 -4.288144 -6.831605 0.0 -0.1 0.0 0.000
O -0.456280 -0.890931 2.065842 0.0 0.2 0.2 0.088
N 0.681662 -3.627996 -4.344616 0.1 -0.1 0.0 0.000
N -1.907506 0.566212 -0.429941 -0.4 0.1 -0.1 0.216
N -5.224200 -1.922121 -1.853287 0.0 0.0 0.0 0.268
N -6.011263 2.270588 -0.425381 0.0 0.0 0.0 0.278
C 0.998290 1.998537 3.684567 0.0 -0.1 0.0 0.002
C -5.302725 1.386043 -0.646991 0.0 0.1 0.0 -0.051
C 0.122340 -4.554003 -8.224170 0.0 0.0 0.1 0.000
C 2.539480 -1.249625 1.207759 0.0 0.1 0.0 0.004
C -1.493705 1.862082 3.367697 0.0 -0.1 0.1 -0.001
C 1.487600 -7.258375 -4.213156 0.0 0.0 0.0 0.000
C 1.290144 -5.954266 -3.787160 0.0 -0.1 0.0 0.000
C -2.147822 -4.348509 -0.065509 -0.1 -0.1 0.0 0.003
C 3.616320 -1.891362 0.330988 0.0 0.0 0.0 0.000
C -0.136436 1.330188 2.935986 0.0 0.4 -0.2 -0.011
C -3.031199 0.471417 -0.643999 -0.5 0.0 -0.1 -0.048
C -0.520621 -3.596626 -2.180966 0.1 0.0 -0.3 0.005
C -0.637317 -2.738515 -1.043429 -0.1 0.3 0.2 -0.017
C -4.881441 -0.905026 -1.428772 0.0 0.0 0.0 -0.051
C 0.849171 -5.006124 -4.690563 -0.1 0.3 0.0 0.000
C 3.346017 -1.324063 -1.064592 0.0 0.0 0.0 -0.001
C 0.209129 -3.060194 -3.259538 -0.1 -0.1 0.0 0.002
C -1.263294 -4.812147 -2.241828 0.1 0.0 0.1 0.001
C -0.118233 -0.190731 3.122656 -0.2 -0.6 -0.2 0.007
C 1.261260 -7.589796 -5.540426 0.0 0.0 0.0 0.000
C 0.854845 -6.631409 -6.460394 0.0 0.0 0.1 0.000
C -4.430695 0.320300 -0.909199 0.6 0.1 0.1 0.412
C 2.806992 0.052633 -0.740953 -0.1 0.0 0.0 0.004
C -1.470145 -3.166694 0.027161 0.1 -0.1 -0.1 -0.002
C 0.653678 -5.324891 -6.036205 0.0 0.0 -0.1 0.000
C -2.069961 -5.178387 -1.211495 0.0 0.1 0.1 0.000
H -0.669664 -5.286722 -8.382430 0.0 0.0 0.0 0.000
H 1.056022 -4.909137 -8.662443 0.0 0.0 0.0 0.000
H -2.288760 1.415035 2.769552 0.0 0.0 0.0 0.001
H 1.823486 -8.008136 -3.511233 0.0 0.0 0.0 0.000
H 0.995689 -2.998317 -5.071671 0.0 0.0 0.0 0.000
H -0.158111 -3.608787 -8.676927 0.0 0.0 0.0 0.000
H 0.961478 1.692233 4.727491 0.0 0.0 0.0 0.000
H 2.576564 -1.906502 -1.572338 0.0 0.0 0.0 0.000
H 2.932415 -0.832950 2.134280 0.0 0.0 0.0 0.000
H 3.608501 0.753221 -0.490925 0.0 0.0 0.0 0.001
H -1.210976 -5.427730 -3.127641 0.0 0.0 0.0 0.000
H 1.411962 -8.607318 -5.874363 0.0 0.0 0.0 0.000
H 1.471261 -5.677319 -2.757886 0.0 0.0 0.0 0.000
H 0.396477 -1.992333 -3.218741 0.0 0.0 0.1 -0.002
H -2.649886 -6.088376 -1.262380 0.0 0.0 0.0 0.000
+++


Focus on Project 3. The 1st Part of Project 3 will be due this Thursday June 13th  before class. Gabrielle, our Ta, will hold office hours before class from 3pm -4:30pm for any questions on Project 3.




Thanks and see you tonight in class.


June 4th Update MIS 2101 Summer 1

Hello Class!

1. Project 1 due by the time class starts tonight. Please email me your answer sheet.

2. Quiz for Chapter 6 is due tonight before class. Quiz for Chapter 1 is due by 4pm June 6th.

3. Mid-term is in class on June 6th. 40-50 Questions Multiple choice based primarily on class lecture and quiz questions from the book.  Mid-term will cover Chapter 1,2,4,5,6


Resources for Temple Students

New   Technology Resources Released for Students

As we get ready   for the opening of a new semester, please help Computer Services spread the   word to our students about the following new technology resources released   this year:

  • Free        Microsoft Office for Matriculated Students: Microsoft        Office Professional Plus 2013 (for PC) and Microsoft Office 2011 (for        Mac) is available free for matriculated Temple students. Students log in        to TUportal, click on the My Portal tab,        and, under TUapplications,        click on Microsoft        Download.
  • 50GB of Free        OWLbox Storage Space: Students, faculty, and staff can        store and share files, collaborate on projects, and sync and edit files        in owlbox.temple.edu. A link to OWLbox is        also available on TUportal.
  • Print on the        Go from Mobile Devices: Due to student feedback, Print on the Go has been expanded to        accept print requests from students using their smart phones, iPads, and        other tablets.
  • Semantic Anti-Virus  $8 for students faculty and staff.   http://antivirus.temple.edu

If you have any questions, please contact the Help Desk through the TUhelp   web site at tuhelp.temple.edu or call 215-204-8000.

Have suggestions or feedback? Reply to this message or to templetech@temple.edu

MIS 2101 Sec 004 Latko

Good Afternoon Class!

The first meeting will be in Alter Hall Room A31 – on Monday August 26th 5:30pm.
We will not be using Blackboard for this class. We will use this blog site and the MY MIS Lab site for all assignments in this class.

More information to follow –  Latko